Fear of embarrassment
Often, poor dental hygiene is a result of people moving away from their local dentist and struggling to find a new dentist that suits them. If the patient also suffers from a dental phobia, this struggle to find a new dentist can be particularly difficult.
Nobody likes going to the dentist. But for some people, the problems run deeper and form a phobia. The causes of dental phobia can be many and varied. This case study is of a patient who was so embarrassed about the state of her teeth that she couldn’t face visiting a dentist.
The Patient
Often, poor dental hygiene is a result of people moving away from their local dentist and struggling to find a new dentist that suits them. If the patient also suffers from a dental phobia, this struggle to find a new dentist can be particularly difficult.
Jayne Ann, a woman in her late fifties, had only moved to the UK recently. As her career had involved working in a number of different countries, she had found it difficult to get consistently good dental work and she had also found it difficult to stick to an appropriate schedule for her dental visits.
The result was that Jayne Ann not only required a significant amount of dental work, but she was also suffering from acute embarrassment. She couldn’t bring herself to visit her dentist because her teeth and oral hygiene had degraded to such an extent that she felt nervous about what a new dentist might think.
The fact that she didn’t already have a dentist was a significant factor. She was worried about choosing a dentist who wasn’t sensitive to her condition and who would therefore exacerbate her phobia. She needed a dentist that she felt comfortable with and with whom she could have a long-term relationship – however, because of her lifestyle, she had never had the opportunity to use the same dentist time and time again.
**Here the article breaks off for data records**
- - -
No. 1
Ba2ZnTcO6: relaxed, PBE-GGA.

Lattice parameters (Å, degrees): 5.7406 5.7406 5.7406 60.00 60.00 60.00
With the nearest neighbours (Å) after each atom.
Positions (direct):
O  0.2609  0.2609  0.7391  1 Tc 1.94, 1 Zn 2.12
O  0.2609  0.7391  0.2609  1 Tc 1.94, 1 Zn 2.12
O  0.7391  0.2609  0.7391  1 Tc 1.94, 1 Zn 2.12
O  0.7391  0.7391  0.2609  1 Tc 1.94, 1 Zn 2.12
O  0.7391  0.2609  0.2609  1 Tc 1.94, 1 Zn 2.12
O  0.2609  0.7391  0.7391  1 Tc 1.94, 1 Zn 2.12
Tc  0.5000  0.5000  0.5000  6 O 1.94
Ba  0.2500  0.2500  0.2500  12 O 2.87
Ba  0.7500  0.7500  0.7500  12 O 2.87
Zn  0.0000  0.0000  0.0000  6 O 2.12

Values from the calculation:
- Total DFT energy (no corrections): -6.53 eV per atom
- Spin magnetization: 1.000 μB/f.u.

---

No. 2
BaZnTeO: relaxed, PBE-GGA.

Lattice parameters (Å, degrees): 7.6797 7.3528 7.4275 90.00 90.00 90.00
With the nearest neighbours (Å) after each atom.
Positions (direct):
O  0.5667  0.8878  0.0764  1 Zn 1.93
O  0.0667  0.1122  0.0764  1 Zn 1.93
O  0.4333  0.1122  0.5764  1 Zn 1.93
O  0.9333  0.8878  0.5764  1 Zn 1.93
Zn  0.5482  0.3432  0.5483  1 O 1.93
Zn  0.9518  0.3432  0.0483  1 O 1.93
Zn  0.0482  0.6568  0.5483  1 O 1.93
Zn  0.4518  0.6568  0.0483  1 O 1.93
Ba  0.6287  0.8742  0.4214  3 O 2.58-2.61
Ba  0.3713  0.1258  0.9214  3 O 2.58-2.61
Ba  0.8713  0.8742  0.9214  3 O 2.58-2.61
Ba  0.1287  0.1258  0.4214  3 O 2.58-2.61
Te  0.1379  0.6100  0.2039  3 Zn 2.67-2.70
Te  0.3621  0.6100  0.7039  3 Zn 2.67-2.70
Te  0.6379  0.3900  0.2039  3 Zn 2.67-2.70
Te  0.8621  0.3900  0.7039  3 Zn 2.67-2.70

Values from the calculation:
- Total DFT energy (no corrections): -4.36 eV per atom

---

No. 3
BaZnTeO: relaxed, PBE-GGA.

Lattice parameters (Å, degrees): 4.3419 4.3161 12.9713 90.00 90.00 120.20
With the nearest neighbours (Å) after each atom.
Positions (direct):
O  0.1746  0.3491  0.3778  1 Zn 1.93
O  0.8254  0.6509  0.8778  1 Zn 1.93
Te  0.5058  0.0116  0.1487  3 Zn 2.69-2.71
Te  0.4942  0.9884  0.6487  3 Zn 2.69-2.71
Ba  0.8400  0.6800  0.4319  3 O 2.59
Ba  0.1600  0.3200  0.9319  3 O 2.59
Zn  0.1733  0.3466  0.2294  1 O 1.93
Zn  0.8267  0.6535  0.7294  1 O 1.93

Values from the calculation:
- Total DFT energy (no corrections): -4.43 eV per atom

----------

VASP calculation (PBE) on an optimized crystal structure of Cs2HfSe4.

The structure in CIF format:
```
data_Cs2HfSe4
_cell_length_a 7.595
_cell_length_b 4.003
_cell_length_c 8.730
_cell_angle_alpha 90.00
_cell_angle_beta 109.49
_cell_angle_gamma 90.00
_symmetry_space_group_name_H-M 'P 1 2/m 1'
_symmetry_Int_Tables_number 10
_symmetry_space_group_name_Hall '-P 2y'
loop_
_atom_site_label
_atom_site_type_symbol
_atom_site_fract_x
_atom_site_fract_y
_atom_site_fract_z
Cs1 Cs 0.194 0.000 0.334
Hf1 Hf 0.500 0.500 0.000
Se1 Se 0.122 0.500 0.931
Se2 Se 0.414 0.000 0.779
```

Output
energy relative to the elements, uncorrected	-22.588	kcal/mol of atoms
E	-4.636	eV/atom
total magnetic moment	0.0	μB/f.u.
- - -
**End of the data records**
The Scenario
This lack of an appropriate level of dental care meant that Jayne Ann’s teeth required substantial dental work. Neglect had led to some tooth decay, which in one tooth had created a cavity which bacteria had entered. Here, an abscess had begun to form which, left untreated, would eventually lead to severe toothache. In the near future, this would require root canal treatment to remove damaged pulp and to prevent further infection reaching the tooth.
The fact that Jayne Ann had not visited a dentist regularly also meant that she had poor dental hygiene. This added to her phobia about visiting the dentist, yet the longer she went without seeing an Oral Hygienist, the worse the problem became.
The urgent requirement for dental work meant that her dental phobia was becoming an increasing problem. Left any longer, and she may begin to suffer serious tooth pain. Yet the more urgent her requirement became, the more fear she felt about visiting the dentist.
Of course, it wasn’t simply the threat of toothache that was becoming more urgent. The longer she postponed visiting the dentist, the more visible her lack of oral care became. This made her more self-conscious and more aware of what her dentist might say. So as in many cases of dental phobia, it was not a condition that could simply be ignored. The more Jayne Ann avoided visiting a dentist, the more she needed to go.
The Symptoms
Jayne Ann’s phobia manifested itself in chronic nausea, brought on by the thought of how she imagined her teeth had decayed. This phobia began early in the process so it was usually the case that she could not even register with or visit a dentist. Whereas some people experience their first sense of phobia actually in the practice, Jayne Ann was conscious of nausea every time she thought of having any dental work done.
As is often the case with phobias, the feeling of nausea only added to the sense that she could not approach a dentist. This nausea, allied to her awareness of and embarrassment about her poor oral hygiene, meant that she was now even more unlikely to make a dental appointment.
Here the page breaks off for crystal structures =
........
[1]
The following is a GGA-PBE calculation of a geometry-optimized Na5SmTl6 structure, from the Alexandria database.

Values from the calculation:
density of states at the Fermi level	4.9	states/eV per cell
space group	Cmmm (65)
DFT total energy	-2.272	eV per atom

Lattice parameters (Å, degrees): 8.3452 8.3452 8.0277 90.00 90.00 143.33
Closest atoms and distances in Å follow each position.
Element x y z (fractional)
Na (0.0000, 0.0000, 0.0000)  8 Tl 3.28-3.37
Na (0.3302, 0.6698, 0.0000)  8 Tl 3.30-3.34, 2 Na 3.65
Na (0.3329, 0.6671, 0.5000)  8 Tl 3.26-3.35
Na (0.6671, 0.3329, 0.5000)  8 Tl 3.26-3.35
Na (0.6698, 0.3302, 0.0000)  8 Tl 3.30-3.34, 2 Na 3.65
Sm (0.0000, 0.0000, 0.5000)  8 Tl 3.30-3.33
Tl (0.1680, 0.8320, 0.2569)  7 Na 3.26-3.37, 1 Sm 3.30
Tl (0.1680, 0.8320, 0.7431)  7 Na 3.26-3.37, 1 Sm 3.30
Tl (0.5000, 0.5000, 0.2449)  6 Na 3.28-3.35, 2 Sm 3.33
Tl (0.5000, 0.5000, 0.7551)  6 Na 3.28-3.35, 2 Sm 3.33
Tl (0.8320, 0.1680, 0.2569)  7 Na 3.26-3.37, 1 Sm 3.30
Tl (0.8320, 0.1680, 0.7431)  7 Na 3.26-3.37, 1 Sm 3.30

***

[2]
The following is a GGA-PBE calculation of a geometry-optimized Na2ErRhO4 structure, from the Alexandria database.

Values from the calculation:
space group	P2/m (10)
raw formation energy	-1.95	eV per atom

Lattice parameters (Å, degrees): 5.3874 3.2897 5.8867 90.00 109.05 90.00
Closest atoms and distances in Å follow each position.
Element x y z (fractional)
Na (0.0000, 0.0000, 0.0000)  6 O 2.43-2.52
Na (0.5000, 0.5000, 0.0000)  6 O 2.37-2.41
Er (0.0000, 0.5000, 0.5000)  6 O 2.24-2.26
Rh (0.5000, 0.0000, 0.5000)  6 O 2.14-2.16
O (0.2466, 0.0000, 0.7195)  1 Rh 2.16, 2 Er 2.24, 2 Na 2.41
O (0.2864, 0.5000, 0.2933)  2 Rh 2.14, 1 Er 2.26, 1 Na 2.37
O (0.7136, 0.5000, 0.7067)  2 Rh 2.14, 1 Er 2.26, 1 Na 2.37
O (0.7534, 0.0000, 0.2805)  1 Rh 2.16, 2 Er 2.24, 2 Na 2.41

***

[3]
The following is a GGA-PBE calculation of a geometry-optimized Pu4CuPdPt2 structure, from the Alexandria database.

Values from the calculation:
density of states at the Fermi level	46.0	states/eV per cell
space group	R-3m (166)
DFT total energy	-10.256	eV per atom

Lattice parameters (Å, degrees): 8.6925 8.6925 8.6925 32.96 32.96 32.96
Closest atoms and distances in Å follow each position.
Element x y z (fractional)
Pu (0.1243, 0.1243, 0.1243)  4 Pt 3.02-3.10, 3 Pd 3.03, 1 Cu 3.06
Pu (0.3737, 0.3737, 0.3737)  3 Cu 3.02, 4 Pt 3.04-3.05, 1 Pd 3.11
Pu (0.6263, 0.6263, 0.6263)  3 Cu 3.02, 4 Pt 3.04-3.05, 1 Pd 3.11
Pu (0.8757, 0.8757, 0.8757)  4 Pt 3.02-3.10, 3 Pd 3.03, 1 Cu 3.06
Cu (0.0000, 0.0000, 0.0000)  8 Pu 3.02-3.06
Pd (0.5000, 0.5000, 0.5000)  8 Pu 3.03-3.11
Pt (0.2499, 0.2499, 0.2499)  8 Pu 3.02-3.10
Pt (0.7501, 0.7501, 0.7501)  8 Pu 3.02-3.10

***

[4]
The following is a GGA-PBE calculation of a geometry-optimized CaPrTlIn structure, from the Alexandria database.

Values from the calculation:
density of states at the Fermi level	3.3	states/eV per cell
space group	F-43m (216)
........
The final aspect to Jayne Ann’s phobia was that it involved more than simply tackling a fear. Her lifestyle and career choice meant that she regularly moved countries. This meant that she may never have an opportunity to build the kind of strong patient-practice relationship that is needed to reassure patients, overcome phobias and ensure effective treatment. Therefore, accompanying the nausea was often the sense that trying to overcome the phobia would not be worth it in the long run. She’d only have to go through the same process again, somewhere else in the future.
The Solution
The barriers to Jayne Ann getting the treatment she needed were threefold. Firstly, she was not registered with a dentist she had visited in the past and was therefore uncomfortable starting treatment with a dentist she did not know.
Secondly, she felt that treatment could be cut short if she left the country. Therefore, there was the sense that beginning any treatment would be pointless.
Thirdly, there were the physical symptoms of the phobia to contend with. Prior to visiting her dentist, she was gripped by a sense of fear, nervousness and nausea as she did not know what to expect.
The solution was to find a multi-national dental brand that specialised in treating people who suffer from dental phobia. By finding a brand that operated in different countries, she could ensure that she would always enjoy a consistent approach and consistent quality of dental work, regardless of where she was based. In a sense, this consistency of approach also meant that she knew what to expect.
The dental brand that Jayne Ann chose had specifically tailored their approach to people who suffered from dental phobias. For example, the first step in any course of treatment was a preliminary visit to the dentist. On this visit, the patient is guaranteed not to be kept in a waiting room and not to undergo any treatment. It is purely consultative and very reassuring. This preliminary consultation helped Jayne Ann to feel comfortable with the dentist and also subdued her nausea – she knew in advance of this visit that no dental work would happen.
By choosing the right sort of dentist, this patient was able to manage her expectations more effectively and therefore manage her fear. By managing her fear and enabling treatment, she was able to improve the quality of her oral hygiene and increase her own confidence further.